The following message is being sent on behalf of Alan Richardson (FA President), Ananya Mukherjee Reed (Provost, UBCO) and Andrew Szeri (Provost, Vancouver):
_Materials data that have nothing to do with the entry_
<<<
Entry from Materials Project: a relaxed Pm2MgS4 crystal (PBE-GGA).

As for the formation energy: -2.093 eV/atom. The calculation puts the offset from the most stable computed form at 41 meV/atom. Its space group is I-42d.

Cell and atoms, written as POSCAR:
```
Pm2MgS4
1.0
-4.158 4.158 4.377
4.158 -4.158 4.377
4.158 4.158 -4.377
Pm Mg S
4 2 8
direct
0.007 0.625 0.882
0.375 0.257 0.382
0.743 0.125 0.118
0.875 0.993 0.618
0.250 0.750 0.500
0.500 0.500 0.000
0.007 0.877 0.266
0.123 0.389 0.130
0.139 0.373 0.630
0.260 0.993 0.870
0.490 0.861 0.234
0.611 0.740 0.734
0.627 0.257 0.766
0.743 0.510 0.370
```

* * * * *

No. 1
## ZnCuW2O7 (PBE with a Hubbard U)

Data for a relaxed structure of ZnCuW2O7.

Cell lengths 8.533, 10.899, 10.933 Å; angles 84.87, 90.00, 90.00 degrees
Fractional coordinates of all 66 atoms:
O (0.089, 0.731, 0.235)
O (0.411, 0.815, 0.197)
O (0.716, 0.801, 0.946)
O (0.411, 0.185, 0.303)
O (0.094, 0.526, 0.618)
O (0.754, 0.853, 0.195)
O (0.911, 0.731, 0.735)
O (0.750, 0.515, 0.869)
O (0.059, 0.147, 0.546)
O (0.341, 0.313, 0.570)
O (0.432, 0.558, 0.617)
O (0.246, 0.853, 0.695)
O (0.589, 0.185, 0.803)
O (0.250, 0.485, 0.131)
O (0.568, 0.442, 0.383)
O (0.403, 0.935, 0.937)
O (0.284, 0.199, 0.054)
O (0.750, 0.485, 0.631)
O (0.716, 0.199, 0.554)
O (0.906, 0.474, 0.382)
O (0.911, 0.269, 0.765)
O (0.941, 0.853, 0.454)
O (0.941, 0.147, 0.046)
O (0.568, 0.558, 0.117)
O (0.173, 0.000, 0.250)
O (0.403, 0.065, 0.563)
O (0.754, 0.147, 0.305)
O (0.659, 0.687, 0.430)
O (0.906, 0.526, 0.118)
O (0.059, 0.853, 0.954)
O (0.827, 0.000, 0.750)
O (0.659, 0.313, 0.070)
O (0.341, 0.687, 0.930)
O (0.094, 0.474, 0.882)
O (0.432, 0.442, 0.883)
O (0.250, 0.515, 0.369)
O (0.597, 0.935, 0.437)
O (0.246, 0.147, 0.805)
O (0.284, 0.801, 0.446)
O (0.597, 0.065, 0.063)
O (0.589, 0.815, 0.697)
O (0.089, 0.269, 0.265)
Cu (0.071, 0.176, 0.908)
Cu (0.432, 0.500, 0.250)
Cu (0.929, 0.824, 0.092)
Cu (0.568, 0.500, 0.750)
Cu (0.929, 0.176, 0.408)
Cu (0.071, 0.824, 0.592)
Zn (0.432, 0.879, 0.566)
Zn (0.064, 0.500, 0.250)
Zn (0.568, 0.879, 0.066)
Zn (0.432, 0.121, 0.934)
Zn (0.568, 0.121, 0.434)
Zn (0.936, 0.500, 0.750)
W (0.729, 0.482, 0.039)
W (0.763, 0.832, 0.785)
W (0.237, 0.168, 0.215)
W (0.241, 0.161, 0.631)
W (0.763, 0.168, 0.715)
W (0.241, 0.839, 0.869)
W (0.729, 0.518, 0.461)
W (0.759, 0.839, 0.369)
W (0.759, 0.161, 0.131)
W (0.237, 0.832, 0.285)
W (0.271, 0.482, 0.539)
W (0.271, 0.518, 0.961)



No. 2
## Zn2CuWO6 (PBE with a Hubbard U)

Data for a relaxed structure of Zn2CuWO6.

Output
Largest piezoelectric modulus in C/m2: 1.57
Offset from the most stable computed form in eV per atom: 0.000

Cell lengths 4.991, 5.377, 5.426 Å; angles 114.94, 116.12, 89.82 degrees
Fractional coordinates of all 10 atoms:
O (0.935, 0.731, 0.576)
O (0.343, 0.234, 0.107)
O (0.604, 0.678, 0.805)
O (0.999, 0.145, 0.375)
O (0.245, 0.740, 0.133)
O (0.694, 0.188, 0.811)
Cu (0.482, 0.483, 0.983)
W (0.992, 0.981, 0.988)
Zn (0.730, 0.342, 0.529)
Zn (0.288, 0.819, 0.537)



No. 3
>>>
_The materials data stop here_
The University and the UBC Faculty Association recognize the significant contributions all faculty members have made during the COVID-19 pandemic. This past year has been challenging on many fronts and we wish to acknowledge your hard work, and thank you for your very significant contributions in providing our students with an outstanding learning experience.
We are pleased to report that UBC and the UBC Faculty Association have agreed upon the Memorandum of Agreement (MOA) regarding a change to the Merit and Performance Salary Adjustments (PSA) awards for 2021. For the 2020/2021 review cycle, the parties have agreed to create a one-time “teaching merit“ award for faculty members in the Educational Leadership Stream and Lecturers, in recognition of those who have undertaken a significant amount of teaching and who have shown meritorious teaching performance during the transition to and delivery of online instruction during COVID-19. This award is in addition to, and has no impact on, the usual merit award pool that is available to recognize all eligible, meritorious faculty members.
• The article is interrupted by records of crystals:
Record 1
Density functional theory data (GGA-PBE) for an optimized crystal structure of Na3TmSi2O7.

Summary:
Energy relative to the elements ... -296 kJ/mol of atoms
Theoretical density ... 3.77 Mg/m³
SG ... P6_3
Total moment ... 0.00 μB/cell
E (MP2020) ... -563.028 eV/cell
Crystal system ... hexagonal

```
Na3TmSi2O7
1.0
9.459 0.000 0.000
-4.730 8.192 0.000
0.000 0.000 13.834
Na Tm Si O
18 6 12 42
Direct
0.000 0.000 0.000
0.000 0.000 0.500
0.015 0.684 0.588
0.016 0.684 0.911
0.316 0.331 0.588
0.316 0.332 0.911
0.331 0.015 0.088
0.332 0.016 0.411
0.333 0.667 0.233
0.333 0.667 0.750
0.667 0.333 0.250
0.667 0.333 0.733
0.668 0.984 0.911
0.669 0.985 0.588
0.684 0.668 0.411
0.684 0.669 0.088
0.984 0.316 0.411
0.985 0.316 0.088
0.000 0.000 0.250
0.000 0.000 0.750
0.333 0.667 0.519
0.333 0.667 0.982
0.667 0.333 0.019
0.667 0.333 0.482
0.018 0.671 0.142
0.019 0.672 0.361
0.328 0.347 0.361
0.329 0.347 0.142
0.347 0.018 0.642
0.347 0.019 0.861
0.653 0.981 0.361
0.653 0.982 0.142
0.671 0.653 0.642
0.672 0.653 0.861
0.981 0.328 0.861
0.982 0.329 0.642
0.046 0.197 0.642
0.047 0.197 0.859
0.099 0.676 0.251
0.127 0.514 0.882
0.128 0.515 0.620
0.150 0.953 0.859
0.151 0.954 0.642
0.171 0.730 0.437
0.173 0.728 0.067
0.197 0.150 0.359
0.197 0.151 0.142
0.270 0.441 0.437
0.272 0.445 0.067
0.324 0.423 0.251
0.387 0.873 0.882
0.388 0.872 0.620
0.423 0.099 0.751
0.441 0.171 0.937
0.445 0.173 0.567
0.485 0.612 0.620
0.486 0.613 0.882
0.514 0.387 0.382
0.515 0.388 0.120
0.555 0.827 0.067
0.559 0.829 0.437
0.577 0.901 0.251
0.612 0.128 0.120
0.613 0.127 0.382
0.676 0.577 0.751
0.728 0.555 0.567
0.730 0.559 0.937
0.803 0.849 0.642
0.803 0.850 0.859
0.827 0.272 0.567
0.829 0.270 0.937
0.849 0.046 0.142
0.850 0.047 0.359
0.872 0.485 0.120
0.873 0.486 0.382
0.901 0.324 0.751
0.953 0.803 0.359
0.954 0.803 0.142
```


Record 2
Density functional theory data (GGA-PBE) for an optimized crystal structure of NaZr2CuF11.

Summary:
Energy relative to the elements ... -335 kJ/mol of atoms
Theoretical density ... 3.55 Mg/m³
SG ... P-1
Total moment ... 1.00 μB/cell
E (MP2020) ... -95.601 eV/cell
Excess energy over the best structure of this formula in the dataset ... 0.0 meV per atom
Crystal system ... triclinic

```
NaZr2CuF11
1.0
5.569 0.000 0.000
-1.622 5.662 0.000
-0.832 -3.068 7.088
Na Zr Cu F
1 2 1 11
Direct
0.000 0.000 0.000
0.484 0.268 0.763
0.516 0.732 0.237
0.000 0.500 0.500
0.191 0.945 0.718
0.222 0.400 0.650
0.241 0.516 0.341
0.249 0.822 0.114
0.347 0.339 0.024
0.500 0.000 0.500
0.653 0.661 0.976
0.751 0.178 0.886
0.759 0.484 0.659
0.778 0.600 0.350
0.809 0.055 0.282
```


Q: Which of these has the highest E (MP2020)?
A: NaZr2CuF11

~~~~~

Compound: Ba2VO4
Source: Materials Project
Functional: GGA+U
Structure: optimized geometry

Results
* DFT total energy: -195.1 eV/cell
* total energy after the MP2020 corrections: -212.92 eV per cell

Lattice parameters (Å, degrees): 6.260 7.795 11.788 90.00 117.48 90.00
Space group P2_1/c (No. 14)
The creation of this award in no way diminishes the significant contributions of all faculty members during these difficult times. Indeed, as we undertake the review process for this year’s Merit and PSA, some units may identify research-stream faculty members who have also undertaken a significant amount of teaching and may elect, within the framework for Merit and PSA established within the Collective Agreement and in the context of the unit’s policy, to recognize these efforts in the usual way.
The introduction of “teaching merit” for the 2020/2021 review cycle and the use of the PSA funds for it allow a unit to proceed as normal for their regular merit review. However, as the Collective Agreement allows units to regularly alter their merit policies through a consultative process, units might choose to introduce additional changes to their own merit processes this year in light of the pandemic. Annual reports allow individual members to include “an indication of the nature and significance of the[ir] activities.” While it would be inappropriate to require individual members to detail any personal information or to request special pleadings under this rubric, we expect there are a number of faculty members who have found their employment activities shifted and whose annual reports might be out of the ordinary this year, and from whom additional information may help better inform merit decisions.
Deans and Heads will partner to implement the MOA in the upcoming review process for faculty, and can contact their Faculty Relations Senior Manager with questions. Faculty members who have questions regarding the process should contact their Head and/or the Faculty Association.
Thank you.